**Data**
........
ORCA calculation (the ωB97M-V functional and the def2-TZVPD basis) on a molecular structure, C7H3Cl3IrO7.

XYZ file:
```
21
Properties=species:S:1:pos:R:3:forces:R:3:nbo_charge:R:1
Ir 0.114284 1.376531 -2.021734 -1.38 -1.81 -1.39 1.587
Cl 0.124598 -4.131852 2.602969 -0.05 0.04 0.00 0.030
C -0.144608 -2.723876 1.631389 0.14 -0.07 -0.05 -0.082
C -1.299590 -1.952935 1.834530 -0.03 -0.09 0.10 -0.153
C -1.541679 -0.838344 1.084325 -0.40 -0.02 0.24 -0.126
Cl -2.967743 0.083513 1.358035 -0.01 0.01 -0.01 0.069
C -0.646639 -0.412454 0.084297 0.37 0.05 -0.36 0.473
O -0.964700 0.662464 -0.571664 -0.06 0.13 0.53 -0.591
C 0.521422 -1.208085 -0.109691 -0.35 0.27 0.19 -0.312
C 1.496245 -0.925876 -1.074811 0.15 0.07 -0.29 0.431
O 1.543933 0.024046 -1.891650 0.88 0.11 0.18 -0.549
C 0.752781 -2.361640 0.674955 -0.16 -0.15 0.25 -0.137
H -2.015962 -2.235261 2.593446 0.02 -0.04 0.02 0.253
H 2.328059 -1.627613 -1.140777 0.07 0.01 -0.14 0.185
H 1.642383 -2.955222 0.515239 0.03 0.03 -0.04 0.235
O -0.816331 0.577198 -3.320547 0.69 1.21 0.54 -0.555
O 0.122899 4.290879 -1.752302 -0.08 0.07 0.02 -0.831
Cl 0.343185 3.788418 -0.421012 -0.21 0.24 -0.26 2.535
O 1.108786 4.643016 0.389482 0.30 0.28 0.09 -0.768
O -0.878133 3.396078 0.182952 -0.18 0.00 0.18 -0.796
O 1.176811 2.531015 -0.647431 0.24 -0.34 0.18 -0.896
```
Forces are in eV/Å.

## Properties
LUMO level (spin up / spin down)   -1.9 / -2.2 eV
Multiplicity   2
Relative energy (zero: lowest compared OMol25 entry of this formula, charge and spin)   95.0 kJ/mol
<S²>   1.114

ORCA calculation (the ωB97M-V functional and the def2-TZVPD basis) on a molecular structure, C7H3Cl5MnN2O3.

XYZ file:
```
21
Properties=species:S:1:pos:R:3:forces:R:3:nbo_charge:R:1
Mn 0.000000 0.000000 0.000000 2.99 1.09 0.00 1.175
Cl 2.902200 2.502900 0.000000 0.98 0.89 0.00 -0.022
C 3.198900 0.803000 0.000000 0.23 -1.46 0.00 -0.034
C 2.076300 -0.018600 0.000000 -0.65 -0.75 0.00 -0.491
C 2.221800 -1.389200 0.000000 4.18 -1.20 0.00 -0.149
Cl 0.746400 -2.237200 0.000000 0.74 -3.22 0.00 0.033
C 3.488400 -1.980400 0.000000 -2.00 0.25 0.00 -0.090
Cl 3.629100 -3.710800 0.000000 0.18 -0.41 0.00 -0.070
C 4.630200 -1.156300 0.000000 0.82 -1.49 0.00 -0.268
Cl 6.218200 -1.869300 0.000000 0.17 -0.09 0.00 -0.082
C 4.484800 0.245700 0.000000 -1.42 2.37 0.00 -0.174
Cl 5.876800 1.285500 0.000000 0.23 0.03 0.00 -0.075
N -1.566100 1.234200 0.000000 -1.87 6.13 0.00 -0.700
N -2.765000 0.571400 0.000000 -1.46 3.02 0.00 -0.524
C -2.665600 -0.751300 0.000000 -2.61 -2.03 0.00 0.869
O -3.766500 -1.361300 0.000000 1.02 -0.47 0.00 -0.784
O -1.477300 -1.169700 0.000000 -2.52 -2.75 0.00 -0.811
H -1.378300 1.983000 0.845700 -0.56 -2.75 -2.31 0.399
H -1.378300 1.983000 -0.845700 -0.56 -2.75 2.31 0.399
H -3.664900 1.022900 0.000000 0.02 -0.18 0.00 0.362
O 0.495600 1.525200 0.000000 2.08 5.77 0.00 -0.964
```
Forces are in eV/Å.

## Properties
Total charge   -2
LUMO level (spin up / spin down)   5.1 / 5.1 eV
Multiplicity   6
Relative energy (zero: lowest compared OMol25 entry of this formula, charge and spin)   577.5 kJ/mol
<S²>   8.829

ORCA calculation (the ωB97M-V functional and the def2-TZVPD basis) on a molecular structure, C7H3CrNO4Se2Te2.

XYZ file:
```
20
Properties=species:S:1:pos:R:3:forces:R:3:nbo_charge:R:1
Cr 0.159781 0.158271 -1.764214 -0.72 -0.72 -0.89 1.129
O -1.233816 3.574927 0.066031 -0.01 -0.05 0.01 -0.689
C -0.663031 2.563612 -0.331719 -0.02 0.02 -0.10 0.759
O -0.410099 2.208153 -1.538663 -0.10 0.10 0.23 -0.771
C -0.115927 1.532015 0.662031 0.05 0.08 0.08 0.109
C -0.700289 1.017001 1.808814 0.07 0.04 0.04 -0.234
C -0.104396 -0.103150 2.383179 0.01 0.01 -0.02 -0.171
C 1.021296 -0.691025 1.811313 0.04 0.07 0.04 -0.241
C 1.533366 -0.104291 0.664446 0.08 0.05 0.08 0.105
N 0.992980 0.999656 0.169964 -0.14 -0.14 0.18 -0.478
C 2.570433 -0.644458 -0.327274 0.02 -0.03 -0.10 0.760
O 3.587293 -1.204032 0.072314 -0.05 -0.01 0.01 -0.689
O 2.212776 -0.398607 -1.535027 0.10 -0.09 0.23 -0.771
H -1.619523 1.437941 2.191709 0.00 0.00 0.00 0.223
........
**Assignment**
It remains to copy the whole of the contents earlier on with every line break kept.
**Response**
ORCA calculation (the ωB97M-V functional and the def2-TZVPD basis) on a molecular structure, C7H3Cl3IrO7.

XYZ file:
```
21
Properties=species:S:1:pos:R:3:forces:R:3:nbo_charge:R:1
Ir 0.114284 1.376531 -2.021734 -1.38 -1.81 -1.39 1.587
Cl 0.124598 -4.131852 2.602969 -0.05 0.04 0.00 0.030
C -0.144608 -2.723876 1.631389 0.14 -0.07 -0.05 -0.082
C -1.299590 -1.952935 1.834530 -0.03 -0.09 0.10 -0.153
C -1.541679 -0.838344 1.084325 -0.40 -0.02 0.24 -0.126
Cl -2.967743 0.083513 1.358035 -0.01 0.01 -0.01 0.069
C -0.646639 -0.412454 0.084297 0.37 0.05 -0.36 0.473
O -0.964700 0.662464 -0.571664 -0.06 0.13 0.53 -0.591
C 0.521422 -1.208085 -0.109691 -0.35 0.27 0.19 -0.312
C 1.496245 -0.925876 -1.074811 0.15 0.07 -0.29 0.431
O 1.543933 0.024046 -1.891650 0.88 0.11 0.18 -0.549
C 0.752781 -2.361640 0.674955 -0.16 -0.15 0.25 -0.137
H -2.015962 -2.235261 2.593446 0.02 -0.04 0.02 0.253
H 2.328059 -1.627613 -1.140777 0.07 0.01 -0.14 0.185
H 1.642383 -2.955222 0.515239 0.03 0.03 -0.04 0.235
O -0.816331 0.577198 -3.320547 0.69 1.21 0.54 -0.555
O 0.122899 4.290879 -1.752302 -0.08 0.07 0.02 -0.831
Cl 0.343185 3.788418 -0.421012 -0.21 0.24 -0.26 2.535
O 1.108786 4.643016 0.389482 0.30 0.28 0.09 -0.768
O -0.878133 3.396078 0.182952 -0.18 0.00 0.18 -0.796
O 1.176811 2.531015 -0.647431 0.24 -0.34 0.18 -0.896
```
Forces are in eV/Å.

## Properties
LUMO level (spin up / spin down)   -1.9 / -2.2 eV
Multiplicity   2
Relative energy (zero: lowest compared OMol25 entry of this formula, charge and spin)   95.0 kJ/mol
<S²>   1.114

ORCA calculation (the ωB97M-V functional and the def2-TZVPD basis) on a molecular structure, C7H3Cl5MnN2O3.

XYZ file:
```
21
Properties=species:S:1:pos:R:3:forces:R:3:nbo_charge:R:1
Mn 0.000000 0.000000 0.000000 2.99 1.09 0.00 1.175
Cl 2.902200 2.502900 0.000000 0.98 0.89 0.00 -0.022
C 3.198900 0.803000 0.000000 0.23 -1.46 0.00 -0.034
C 2.076300 -0.018600 0.000000 -0.65 -0.75 0.00 -0.491
C 2.221800 -1.389200 0.000000 4.18 -1.20 0.00 -0.149
Cl 0.746400 -2.237200 0.000000 0.74 -3.22 0.00 0.033
C 3.488400 -1.980400 0.000000 -2.00 0.25 0.00 -0.090
Cl 3.629100 -3.710800 0.000000 0.18 -0.41 0.00 -0.070
C 4.630200 -1.156300 0.000000 0.82 -1.49 0.00 -0.268
Cl 6.218200 -1.869300 0.000000 0.17 -0.09 0.00 -0.082
C 4.484800 0.245700 0.000000 -1.42 2.37 0.00 -0.174
Cl 5.876800 1.285500 0.000000 0.23 0.03 0.00 -0.075
N -1.566100 1.234200 0.000000 -1.87 6.13 0.00 -0.700
N -2.765000 0.571400 0.000000 -1.46 3.02 0.00 -0.524
C -2.665600 -0.751300 0.000000 -2.61 -2.03 0.00 0.869
O -3.766500 -1.361300 0.000000 1.02 -0.47 0.00 -0.784
O -1.477300 -1.169700 0.000000 -2.52 -2.75 0.00 -0.811
H -1.378300 1.983000 0.845700 -0.56 -2.75 -2.31 0.399
H -1.378300 1.983000 -0.845700 -0.56 -2.75 2.31 0.399
H -3.664900 1.022900 0.000000 0.02 -0.18 0.00 0.362
O 0.495600 1.525200 0.000000 2.08 5.77 0.00 -0.964
```
Forces are in eV/Å.

## Properties
Total charge   -2
LUMO level (spin up / spin down)   5.1 / 5.1 eV
Multiplicity   6
Relative energy (zero: lowest compared OMol25 entry of this formula, charge and spin)   577.5 kJ/mol
<S²>   8.829

ORCA calculation (the ωB97M-V functional and the def2-TZVPD basis) on a molecular structure, C7H3CrNO4Se2Te2.

XYZ file:
```
20
Properties=species:S:1:pos:R:3:forces:R:3:nbo_charge:R:1
Cr 0.159781 0.158271 -1.764214 -0.72 -0.72 -0.89 1.129
O -1.233816 3.574927 0.066031 -0.01 -0.05 0.01 -0.689
C -0.663031 2.563612 -0.331719 -0.02 0.02 -0.10 0.759
O -0.410099 2.208153 -1.538663 -0.10 0.10 0.23 -0.771
C -0.115927 1.532015 0.662031 0.05 0.08 0.08 0.109
C -0.700289 1.017001 1.808814 0.07 0.04 0.04 -0.234
C -0.104396 -0.103150 2.383179 0.01 0.01 -0.02 -0.171
C 1.021296 -0.691025 1.811313 0.04 0.07 0.04 -0.241
C 1.533366 -0.104291 0.664446 0.08 0.05 0.08 0.105
N 0.992980 0.999656 0.169964 -0.14 -0.14 0.18 -0.478
C 2.570433 -0.644458 -0.327274 0.02 -0.03 -0.10 0.760
O 3.587293 -1.204032 0.072314 -0.05 -0.01 0.01 -0.689
O 2.212776 -0.398607 -1.535027 0.10 -0.09 0.23 -0.771
H -1.619523 1.437941 2.191709 0.00 0.00 0.00 0.223